
A repo that contains miscellaneous Python/C++ modules/programs, a standalone Python module 'palos' by the yfish group (can be installed by pip).

Primary LanguagePython

Yu S. Huang, polyactis@gmail.com

1 A repo that contains miscellaneous Python/C++ modules/programs, a standalone Python module 'palos' by the yfish group (can be installed by pip).

This repository is a mix of a python module 'palos' and other standalone programs developed and used by the yfish group, http://www.yfish.org/.

It contains code related to bioinformatics projects focusing on next-generation sequencing data, population genetics, genome-wide association studies, pedigree genetics, etc.

palos/ contains the source code of the https://pypi.org/project/palos module.

palos/algorithm/ contains pure algorithms, not specific to Bioinformatics.

GADA/ contains a faster algorithm than the original GADA (2008/2009) by using a Red-Black tree. Now in an independent repo https://github.com/polyactis/eGADA.

ngs/ contains programs analyzing next-generation sequencing data.

2 Prerequisites to run Python programs in Pymodule

Most programs in pymodule are dependent on the palos module, which is in palos/. Installation of palos will trigger installation of other dependencies.

2.1 PyPi package: Palos

Palos supports Python3 primarily, but is ported to Python2 via https://github.com/asottile/future-fstrings because some pymodule programs are Python2-only.

Entry 1:
{"formula": "C36H26BrI2N5NaO6", "method": "ωB97M-V/def2-TZVPD", "species": ["Na", "O", "C", "O", "C", "C", "C", "C", "C", "N", "C", "O", "O", "H", "H", "H", "H", "H", "I", "C", "C", "C", "I", "C", "O", "C", "C", "N", "C", "C", "C", "C", "C", "C", "N", "C", "H", "H", "H", "H", "H", "H", "H", "H", "H", "H", "H", "Br", "C", "C", "C", "C", "O", "C", "C", "N", "C", "C", "C", "C", "C", "C", "C", "C", "N", "C", "C", "H", "H", "H", "H", "H", "H", "H", "H", "H", "H"], "xyz": [[0.51, 0.30, 1.01], [1.64, -3.58, 3.04], [1.28, -2.49, 2.34], [1.89, -2.15, 1.36], [0.15, -1.75, 2.94], [0.23, -1.54, 4.31], [-0.30, -0.49, 5.10], [-0.93, 0.64, 4.65], [-1.29, 0.72, 3.27], [-0.75, -1.34, 2.05], [-1.04, 1.68, 2.29], [-0.55, 2.89, 2.70], [-1.22, 1.49, 1.08], [2.43, -3.97, 2.62], [0.93, -2.17, 4.83], [-0.07, -0.55, 6.16], [-1.22, 1.42, 5.33], [-0.11, 2.76, 3.55], [7.53, -0.86, 0.29], [5.63, -0.21, 0.96], [5.30, -0.39, 2.30], [4.07, 0.04, 2.71], [3.54, -0.13, 4.75], [3.08, 0.61, 1.87], [1.92, 0.89, 2.30], [3.52, 0.87, 0.55], [2.67, 1.64, -0.42], [2.44, 0.83, -1.60], [2.07, 1.51, -2.82], [0.60, 1.78, -3.02], [0.04, 1.74, -4.30], [-1.31, 2.03, -4.45], [-2.05, 2.34, -3.32], [-1.40, 2.34, -2.09], [-0.12, 2.06, -1.95], [4.75, 0.42, 0.10], [6.00, -0.84, 2.99], [3.22, 2.54, -0.72], [1.74, 1.97, 0.08], [1.75, 0.13, -1.37], [2.43, 0.89, -3.65], [2.60, 2.47, -2.84], [0.65, 1.49, -5.15], [-1.77, 2.02, -5.43], [-3.10, 2.59, -3.40], [-1.91, 2.57, -1.17], [5.02, 0.59, -0.93], [-7.24, 1.57, 1.85], [-5.55, 0.73, 2.03], [-5.20, 0.18, 3.26], [-3.92, -0.33, 3.38], [-3.02, -0.34, 2.31], [-1.72, -0.59, 2.79], [-3.43, 0.06, 1.02], [-2.79, -0.09, -0.25], [-1.94, -0.97, -0.62], [-1.67, -1.15, -1.94], [-2.65, -1.05, -2.92], [-2.38, -1.24, -4.27], [-1.12, -1.58, -4.69], [-0.10, -1.78, -3.73], [1.19, -2.22, -4.08], [2.12, -2.42, -3.10], [1.77, -2.15, -1.77], [0.58, -1.73, -1.42], [-0.36, -1.56, -2.35], [-4.70, 0.67, 0.95], [-5.87, 0.20, 4.10], [-3.57, -0.67, 4.34], [-3.19, 0.61, -1.00], [-3.67, -0.82, -2.63], [-3.17, -1.10, -4.99], [-0.89, -1.72, -5.73], [1.41, -2.42, -5.13], [3.12, -2.77, -3.34], [2.47, -2.26, -0.97], [-5.01, 1.12, 0.01]], "mulliken_charge": [0.6181, -0.5884, -0.3379, -0.2326, 1.6143, -1.1211, -0.4782, -1.3241, 1.2115, -0.9717, -0.4315, -0.6901, -0.3779, 0.4386, 0.5284, 0.4307, 0.5504, 0.3894, -0.0600, -0.5373, -0.3655, 0.0268, -0.0479, -0.0043, -0.6170, 0.3403, -0.9865, 0.7353, -1.3326, 0.7314, -0.7483, -0.3926, -0.7599, -0.7535, 0.0285, -0.4431, 0.3680, 0.8374, 0.3531, -0.8653, 0.3719, 0.4467, 0.4224, 0.4154, 0.4225, 0.9415, 0.4569, -0.2330, -0.3478, -0.5406, -0.6577, 0.7489, 0.6669, 0.5478, 0.0065, -0.3145, -0.1789, -0.0633, -0.9093, -0.8511, 1.4501, -0.9715, -0.9966, -0.0931, -0.2764, 0.4488, -1.1400, 0.4322, 0.4664, 0.2200, 0.5573, 0.4015, 0.3862, 0.3948, 0.4476, 0.6127, 0.5737], "charge": -1, "e_homo_ev": -3.577, "spin_multiplicity": 1, "e_above_lowest_kj_mol": 119.5}

***

Entry 2:

Install/Upgrade the Python3 version of Palos

pip3 install --upgrade palos

**Next to the page, the page also holds calculated molecules**
18
Properties=species:S:1:pos:R:3:lowdin_charge:R:1 method="wB97M-V/def2-TZVPD" energy_ha=-707.95622 e_homo_ev=-7.550 spin_multiplicity=1 homo_lumo_gap_ev=7.35 relative_energy_kj_mol=247.0
C 0.002 -1.230 -1.732 0.035
C -3.100 -0.133 1.346 -0.117
C 0.876 -0.928 -0.765 -0.186
C -1.904 -0.151 0.776 -0.657
C 2.355 0.745 0.462 -0.068
C 1.119 0.417 -0.313 -0.525
O 0.566 1.396 -1.046 0.038
S -0.437 0.249 1.595 0.719
H -0.200 -2.248 -2.014 0.066
H -0.494 -0.454 -2.290 0.070
H -3.986 -0.405 0.799 0.040
H -3.223 0.134 2.382 0.038
H 1.391 -1.702 -0.215 0.115
H -1.748 -0.441 -0.263 0.033
H 3.182 0.888 -0.239 0.100
H 2.606 -0.058 1.147 0.086
H 2.223 1.659 1.038 0.083
H 0.772 2.262 -0.667 0.129

----------

[1]
The following is a DFT calculation (ωB97M-V with the def2-TZVPD basis set) of a molecular structure, C10H10AlBrClO4.

Properties
Charge: -1
Energy above the lowest of the compared OMol25 structures with the same formula, charge and spin, eV: 0.000
Orbital gap, eV: 5.59
LUMO, eV: 2.626
Energy, eV: -107877.528

Structure (XYZ):
```
27
Properties=species:S:1:pos:R:3:lowdin_charge:R:1
C -1.36925 -0.81551 -2.03216 -0.129
C -1.20057 -1.73752 -1.00974 -0.167
C -1.61437 -1.10856 0.25588 -0.297
H -0.86189 -2.77714 -1.10184 0.076
C -2.10236 0.23316 -0.11235 -0.128
C -1.99780 0.36886 -1.49369 -0.117
H -2.32382 1.20852 -2.10400 0.088
H -1.17194 -0.98127 -3.09732 0.093
H -1.97762 -1.65297 1.15127 0.098
H -2.60573 0.91888 0.57215 0.094
Al 0.08252 -1.22904 1.45752 -0.084
Br 1.25054 -3.09188 1.12810 0.455
C 1.69341 1.09622 0.23747 -0.227
C 1.12266 2.00436 -0.70339 -0.183
C 1.22015 1.41980 -1.99448 -0.187
H 0.73704 2.98891 -0.45505 0.066
C 1.88022 0.14864 -1.86149 -0.194
C 2.20128 -0.03632 -0.49434 -0.231
H 2.74715 -0.88297 -0.04973 0.037
H 1.85276 1.28569 1.29278 0.057
H 0.84850 1.83807 -2.92516 0.063
H 2.11147 -0.54814 -2.66768 0.065
O -0.86595 -0.97857 3.28496 -0.274
Cl -0.10133 0.31892 3.27324 0.817
O -0.60187 1.28660 4.17729 -0.229
O 1.30122 0.01188 3.46518 -0.267
O -0.25442 0.71139 1.80656 -0.296
```



[2]
The following is a DFT calculation (ωB97M-V with the def2-TZVPD basis set) of a molecular structure, C10H10BBrF4Pd.

Properties
Charge: -2
Multiplicity: 3
Energy above the lowest of the compared OMol25 structures with the same formula, charge and spin, eV: 0.777
Orbital gap (alpha / beta), eV: 5.67 / 5.48
LUMO (alpha / beta), eV: 5.764 / 5.600
Energy, eV: -95603.951

Structure (XYZ):
```
27
Properties=species:S:1:pos:R:3:lowdin_charge:R:1
C -1.38310 -1.68379 -1.04201 -0.203
C -2.00543 -0.53535 -1.55491 -0.350
C -1.00442 0.30813 -2.22868 -0.255
H -3.06911 -0.26409 -1.47178 0.058
C 0.26878 -0.42493 -2.02571 -0.217
C -0.01674 -1.63334 -1.36523 -0.198
H 0.73245 -2.42328 -1.18910 0.108
H -1.91604 -2.48355 -0.50946 0.114
H -1.10673 1.30768 -2.52021 0.069
H 1.22093 -0.06999 -2.37952 0.094
Pd -0.65247 0.24232 -0.38139 0.917
Br -2.71371 1.24276 0.88104 -0.145
C 0.94842 0.33502 2.01963 -0.202
C 1.40619 -0.86233 1.38404 -0.226
C 0.37625 -1.84771 1.52077 -0.280

Install/Upgrade the Python2 version of Palos

# to run some Python2 pymodule programs
pip install --upgrade palos

2.1.1 Package future-fstrings ensures compatibility between Python2 and Python3

**Next to the page, the page also holds records of molecules:**
┌──
Computed, not measured: an isolated molecule of C5H11NO in a non-equilibrium geometry, with ωB97M-V/def2-TZVPD.

Last column: Löwdin charge in e.
Geometry (Å):
1 H -0.95984 2.05367 -0.79621  0.054
2 N -1.20556 1.09435 -0.88181  0.114
3 C -0.47461 0.22350 -0.32291  -0.452
4 O -0.96178 -1.01301 -0.50323  -0.055
5 C -2.23227 -0.86961 -1.41742  -0.026
6 C 0.80578 0.49854 0.47410  -0.350
7 C 0.65682 0.13861 1.95543  -0.069
8 C 2.04510 -0.17225 -0.12729  -0.068
9 H -1.86046 -0.84895 -2.44476  0.083
10 H -2.99279 -0.05783 -1.36187  0.082
11 H -2.68752 -1.79035 -1.11467  0.064
12 H 0.94109 1.58871 0.40027  0.132
13 H 0.53490 -0.94225 2.07214  0.083
14 H -0.20982 0.63546 2.40382  0.082
15 H 1.54989 0.44602 2.51425  0.080
16 H 2.94428 0.12719 0.42660  0.080
17 H 1.95456 -1.26070 -0.06707  0.083
18 H 2.18902 0.10694 -1.17611  0.082

Summary:
Total energy in eV: -8899.75342
HOMO in eV: -9.5
SMILES: [H]/N=C(/OC)C(C)C
Multiplicity: 1
Gap between HOMO and LUMO in eV: 10.6

***

Computed, not measured: a cluster of 2 separate species, C5H11NO in total in a non-equilibrium geometry, with ωB97M-V/def2-TZVPD.

Last column: Löwdin charge in e.
Geometry (Å):
1 C -1.02194 -0.42524 0.94060  -0.015
2 C -1.86814 -1.41849 0.22880  -0.130
3 C -0.27426 1.42596 -1.10162  -0.127
4 C 1.35660 -0.15596 0.02638  -0.574
5 N 2.70942 -0.13973 0.22729  0.155
6 C 0.62849 1.06297 0.05041  -0.130
7 O 0.79206 -1.29270 -0.01884  -0.060
8 H 3.25586 0.66623 -0.02103  0.096
9 H 3.17186 -1.02702 0.33935  0.103
10 H -1.45680 0.56173 1.00659  0.054
11 H -0.53467 -0.74444 1.85117  0.088
12 H 1.13619 1.90428 0.51765  0.099
13 H -2.11415 -1.09002 -0.78131  0.073
14 H -1.40599 -2.40092 0.18502  0.071
15 H -2.81739 -1.50225 0.77859  0.086
16 H 0.22094 2.09251 -1.81640  0.068
17 H -0.59550 0.53540 -1.64328  0.071
18 H -1.18258 1.94768 -0.76938  0.070

Summary:
Total energy in eV: -8897.59428
HOMO (spin up / spin down) in eV: -7.3 / -7.5
Multiplicity: 1
Gap between HOMO and LUMO (spin up / spin down) in eV: 7.3 / 8.0

***

Computed, not measured: a cluster of 2 separate species, C5H11NO in total in a non-equilibrium geometry, with ωB97M-V/def2-TZVPD.

Last column: Löwdin charge in e.
Geometry (Å):
1 C 1.42449 0.86946 -2.05743  0.000
2 C 1.10909 1.19878 -0.81122  -0.160
3 C -0.34325 1.29873 -0.37339  -0.226
4 N -0.81972 0.24075 0.50420  -0.041
5 C -0.52718 0.29513 1.86332  -0.250
6 C -0.65272 -0.69695 2.73667  -0.025
7 H 2.46553 0.92709 -2.36556  0.053
8 H 0.70754 0.39451 -2.70852  0.056
9 H 1.80234 1.65605 -0.11841  0.093
10 H -0.48485 2.23161 0.17123  0.112
11 H -0.99056 1.31843 -1.23889  0.106
12 H -0.61840 -0.68417 0.15807  0.086
13 H -0.01648 1.20750 2.15076  0.105
14 H -1.19238 -1.62045 2.57887  0.044
15 H -0.15722 -0.65851 3.68707  0.032
16 O -0.92976 -2.52351 -1.40682  -0.062
17 H -0.36644 -2.72842 -2.15848  0.037
18 H -0.41003 -2.72603 -0.61147  0.041

Summary:
Total energy in eV: -8899.15944
HOMO in eV: -8.0
SMILES: C=CCNC=C.O
Multiplicity: 1
Gap between HOMO and LUMO in eV: 8.7

***
└──

Package future-fstrings allows the use of f-string in Python2.

# -*- coding: future_fstrings -*-
thing = 'world'
print(f'hello {thing}')

2.1.2 Build and upload the palos package to PyPi

# Build the package.
# sdist and bdist_wheel are both commands of setup.py, not package names.
python3 setup.py sdist bdist_wheel

# (Delete old ones beforehand) and Upload the compiled package file.
# Enter your PyPi username (__token__) and password (!= the pypi.org account password).
twine upload dist/*

2.2 Optional prerequisites

The following pakcages are optional, only needed for some functions.

  1. mysqldb
  2. biopython
  3. pegaflow https://pypi.org/project/Pegaflow/
  4. psycopg2 http://initd.org/psycopg/
  5. matplotlib basemap toolkit http://matplotlib.sourceforge.net/basemap/doc/html/
  6. python imaging library http://www.pythonware.com/products/pil/
  7. python-scientific http://www.scipy.org/
  8. biopython
  9. python-rpy2
  10. networkx https://networkx.lanl.gov/wiki
  11. hcluster
  12. python-h5py
  13. python-tables

2.3 Optional C++ libraries

Required if you plan to compile all binaries in pymodule by typeing 'make all'.

apt-get install libhdf5-dev libhdf5-serial-dev libhdf5-cpp-100 hdf5-tools
libarmadillo-dev libboost-program-options-dev libboost-iostreams-dev
libboost-python-dev python-dev

3 Example on how to run some pymodule programs

./ngs/DownsampleWorkflow.py  -h